== To do ==
Echo only the lines below with the word "SYSTEM" in them, please.

== Given ==
(1)
The following is a PBE-GGA calculation of an optimized crystal structure of AgHg2Pd2, from the Alexandria database. Values from VASP.

```
&SYSTEM
  ibrav = 0, nat = 10, ntyp = 3
/
ATOMIC_SPECIES
Ag 107.87 Ag.upf
Hg 200.59 Hg.upf
Pd 106.42 Pd.upf
ATOMIC_POSITIONS crystal
Ag 0.000 0.000 0.000
Ag 0.500 0.500 0.000
Hg 0.167 0.333 0.500
Hg 0.333 0.833 0.500
Hg 0.667 0.167 0.500
Hg 0.833 0.667 0.500
Pd 0.131 0.631 0.000
Pd 0.369 0.131 0.000
Pd 0.631 0.869 0.000
Pd 0.869 0.369 0.000
CELL_PARAMETERS angstrom
7.621 0.000 0.000
0.000 7.621 0.000
0.000 0.000 3.306
```



(2)
The following is a PBE-GGA calculation of an optimized crystal structure of Ag2HgPd2, from the Alexandria database. Values from VASP.

```
&SYSTEM
  ibrav = 0, nat = 5, ntyp = 3
/
ATOMIC_SPECIES
Ag 107.87 Ag.upf
Hg 200.59 Hg.upf
Pd 106.42 Pd.upf
ATOMIC_POSITIONS crystal
Ag 0.102 0.207 0.091
Ag 0.898 0.793 0.909
Hg 0.500 0.000 0.500
Pd 0.299 0.601 0.303
Pd 0.701 0.399 0.697
CELL_PARAMETERS angstrom
3.011 0.000 0.000
1.486 4.739 0.000
1.502 1.096 6.119
```



Number 1: density 12.48 g cm⁻³, uncorrected energy -2.817 eV/atom. Number 2: density 11.97 g cm⁻³, uncorrected energy -3.345 eV/atom.

* * * * *

Material: BeNb2Fe
Method: DFT, PBE
State: optimized geometry

Cell and atoms, written as CIF:
```
data_BeNb2Fe
_chemical_formula_sum 'Be1 Nb2 Fe1'
_symmetry_space_group_name_H-M 'P 4/m m m'
_symmetry_Int_Tables_number 123
_symmetry_space_group_name_Hall '-P 4 2'
_cell_length_a 4.058
_cell_length_b 4.058
_cell_length_c 3.429
_cell_angle_alpha 90.00
_cell_angle_beta 90.00
_cell_angle_gamma 90.00
loop_
_atom_site_label
_atom_site_type_symbol
_atom_site_fract_x
_atom_site_fract_y
_atom_site_fract_z
Be1 Be 0.000 0.000 0.000
Nb1 Nb 0.000 0.500 0.500
Fe1 Fe 0.500 0.500 0.000
```

## Properties
- Calculated total energy: -8.073 eV/atom
- E_form: 0.009 eV/atom
- Density of states at the Fermi level: 3.59 states/eV per cell

== Result ==
&SYSTEM
&SYSTEM